Category Archives: Economy

Fed, Still Twerking Money And Debt

So this is good news? Federal Reserve, trying real hard to keep Obama’s fake economic recovery going, agreed to continue to print money and monetize the debt by  $75 Billion a month instead of $85 Billion a month.

How about we stop pussy footing around and let the economy and the markets fix themselves? Aside from the FED’s artificial resuscitation on the monetary side, we have the economic train wreck of this administration’s ideas of economics which is nothing short of the fascist economic model. Both need to stop before we see any improvement on Main Street.

Unfortunately, it’s going to take the next two elections to start.

Link: Fed hawks back taper decision, one urges bolder action

Why Democrats, Reid, Went For The Nuclear Option

Listening to Neal (The Talkmaster) Boortz today on my way to work I happened across the mother lode of this political phenomenon. The filibuster nuclear option. I’ve heard Boortz speak of this before but not until now was I able to capture it (for lack of a written transcript) to share with you.

For years and years, the Liberals and Progressives in the Democrat(ic) party have continually stressed and relied on the courts to thwart, if not harry_reid_fingerenact, public policy that they either don’t agree with or otherwise could not do via the legislative process. In short, they view and use the court system as another branch of the legislature.

Now, after years of every Democrat leader having gone on record against the nuclear option, including all the ones who are now for it, they’re not only for it, they invoked it. So why now? It’s because President Obama’s signature legislation, the government control of health care, Democrats’ ‘wet dream’ legislation since John Dingell Sr. first introduced it 70 years ago, is losing public support as chances for repeal or defunding it become more probable.

Public opinion for the Affordable Care Act (aka Obamacare) is dropping like a stone, not only because of what it is doing to people’s policies, families, and wallets, but the lawlessness in which the President himself is trying to keep the sinking ship from sinking by issuing edicts to insurance companies to add to and take away from the law. It’s all unconstitutional. They must fill the three vacancies in the Federal Court of Appeals in the DC Circuit with judges sympathetic to upholding all challenges to Obamacare and their regulatory over reaching. That’s why they are for the filibuster before they were against it. Most Americans see the ACA as a crisis to America. Democrats in Washington see the repeal or neutering of it as an even greater crisis, requiring the nuclear option.


Putting judges sympathetic to his cause is the only life-line he has left. Moving the United States’ free-market capitalistic economy to a fascist economy, which is what President Obama is all about and what he meant by fundamental change.

The recording of Neal’s rant begins after he explains the characteristics of capitalistic and socialist economic models. The clip begins with the fascist economic model. Boortz explains . . .

Spreading The Wealth Gone Wild

Where President Clinton built wealth-spreading into the tax code, President Obama put it into overdrive by adding “social justice” to it with the addition of the non-affordable Affordable Care Act. A nationalized health care scheme that requires the young and healthy to pay for the old and infirm. The consequences are surprising, and getting worse.

In a random act of journalism, CNBC reporter Jane Wells gives the striking details of a CBO report released last week entitled The Distribution of Household Income and Federal Taxes, 2010. (Table 3, Page 13) In personal income taxes it boils down to this, the rich don’t pay most taxes, they pay ALL the taxes. The upper two quintiles, or 40% of taxpayers, pay 106% of all personal income taxes. For the lower 40%, their “taxes” are a revenue stream.

Politicians are pretty slick when it comes to manipulating the tax code. Which is why we must get rid of it and replace it with something that can’t be used as a tool for class warfare and social engineering. The FairTax is the best alternative, for everybody. But I digress.

Remember the Taxpayer Relief Act of 1997? The tax code becomes a vehicle for spending programs.

Wielding the tax hammer for social engineering increases public debt. Lesson not learned here is that money doesn’t grow on trees and, stop increasing the spending. But it’s OK if you can use the tax code to buy votes. What? This is where the class envy/class warfare tactic, as connected to the tax code, was taken to a higher level.

The Taxpayer Relief Act of 1997 made additional changes to the tax code providing a modest tax cut. The centerpiece of the 1997 Act was a significant new tax benefit to certain families with children through the Per Child Tax credit. The truly significant feature of this tax relief, however, was that the credit was refundable for many lower-income families. That is, in many cases the family paid a “negative” income tax, or received a credit in excess of their pre-credit tax liability. Though the tax system had provided for individual tax credits before, such as the Earned Income Tax credit, the Per Child Tax credit began a new trend in federal tax policy. Previously tax relief was generally given in the form of lower tax rates or increased deductions or exemptions. The 1997 Act really launched the modern proliferation of individual tax credits and especially refundable credits that are in essence spending programs operating through the tax system.

“There’s no difference at all in terms of the effects on the federal deficit,” says Roberton Williams of the Tax Policy Center. “It’s perfectly equivalent. It’s just easier to say, ‘I cut your taxes’ as opposed to ‘I created a new federal program to send money to people.’”

Links: The rich do not pay the most taxes, they pay ALL the taxes  |  Happy Tax-The-Rich Day


New Leaders Wanted, Ruling Class Shows True Colors

The next time you hear Harry Reid or John Boehner hawk a budget, or any other kind of spending bill like the sequester, where all the spending happens now and the savings happens years in the future, consider that a con job that has run its course.

Speaker of the House John Boehner (R)
Speaker of the House John Boehner (R)

After only one year of the sequester, that was supposed to last 8 years, it has already been raped by the “deal” passed by the House today.

Real fiscal conservatives. No! This has nothing to do with conservatives. This has to do with honesty. From now on, there will be no promises for anything happening in the future in exchange for something else happening now. It’s a lie. The “future” never comes.

Molecular data that have nothing to do with the piece:
~~~
A structure of composition C13H30FN2O2PS at a distorted geometry, computed with wB97M-V/def2-TZVPD.

```
50
Properties=species:S:1:pos:R:3:forces:R:3
H -4.968594 0.803249 -0.550351 0.0599 0.1843 -0.0206
C -4.377510 0.077312 0.000805 0.2778 -0.6453 0.2624
P -3.152390 -2.724884 0.829610 0.7999 -0.2272 0.3482
H -0.845586 0.770327 0.763419 -0.2135 -0.2468 -0.2690
H 4.998540 -1.690585 -0.936600 0.0306 -0.0722 -0.0992
C -3.488622 -0.704801 -0.980811 -0.3164 0.7294 -0.0482
C 2.260428 0.564222 -0.621902 -0.0796 0.0278 -0.5254
N -3.546164 -2.183444 -0.791618 0.4588 0.1720 0.5575
H 0.866468 1.734130 -1.767669 -0.1058 0.2287 -0.0685
H -1.526784 -2.045104 2.043610 0.2990 0.0630 -0.0784
H 1.823146 -0.216483 -1.244830 -0.1070 -0.1528 0.1480
H 2.170380 2.672638 -1.070643 0.0392 0.0583 -0.0388
H -3.821342 2.790786 1.718756 -0.0577 0.1462 -0.0621
S -2.561904 -2.952369 -1.870553 0.3546 -0.3472 0.4507
H 4.111810 -0.165938 0.996427 0.0650 -0.0552 0.1524
H -4.004038 -1.977095 1.649872 -0.3828 -0.0459 -0.3028
O -1.355517 -2.254874 -2.129374 -0.3386 0.1120 -0.1885
H -3.820084 -0.488263 -1.993856 0.0417 -0.2466 -0.1272
H -4.189482 0.644426 2.042765 0.0925 -0.0159 0.1348
C 1.463693 1.868549 -0.865886 0.2933 -0.1729 0.2618
H -3.798700 2.600785 -0.003372 -0.0412 -0.2040 -0.1770
H 2.126764 0.233657 0.407346 0.0521 0.0609 0.1207
H -1.795420 3.615999 0.326417 0.0159 0.1430 0.1107
H -2.463494 -0.349766 -0.890365 0.1227 -0.1159 -0.0352
C 3.762174 0.648528 -0.973130 0.0204 0.0763 0.4164
N -1.652978 -2.647837 1.239010 -0.4869 0.0917 0.0574
H -3.675006 -4.017249 0.809143 -0.2137 0.0841 -0.2815
C 6.198956 -1.806691 0.850713 -0.0882 0.1647 -0.4444
H 4.020511 1.684001 -1.193426 -0.0392 0.0664 -0.1071
H -1.095116 1.575291 -0.814439 -0.3284 -0.1577 -0.0227
C -3.325366 2.249830 0.912176 0.4597 -0.0131 0.4714
F -3.457014 -2.765637 -3.126934 -0.1121 -0.0560 -0.2957
H 7.020752 -1.255430 1.303597 -0.0189 0.0359 0.2002
O -2.554020 -4.329425 -1.528562 -0.1667 0.0463 -0.1800
H 6.409192 -0.617459 -0.928205 -0.0357 -0.1066 -0.2740
H 5.359654 0.959854 0.445953 -0.0311 0.0229 0.2973
C -1.847962 2.687880 0.900839 -0.1623 0.0126 -0.5102
H 5.422672 -1.986996 1.591506 0.0681 -0.1090 0.1766
H 1.044592 1.899605 1.221574 0.0081 0.1442 0.1468
H -2.659966 0.204096 1.325633 0.0848 -0.0630 -0.0139
H 3.941166 0.083144 -1.886503 0.1052 0.0051 -0.0918
H 6.588572 -2.764100 0.510019 0.0575 -0.0780 0.0562
C -3.583126 0.745220 1.141448 -0.8421 0.3492 -0.1106
C -0.867330 1.724984 0.240692 0.8531 0.4902 0.4015
C 0.575442 2.282429 0.313204 -0.1761 -0.2868 -0.0568
H -5.104642 -0.607451 0.438162 -0.1318 -0.0418 -0.1515
H 0.552962 3.366722 0.428640 -0.0815 0.1025 -0.2063
H -1.490977 2.947559 1.898035 -0.0316 -0.1939 0.1615
C 4.711606 0.138345 0.140013 0.0168 0.0169 -0.6470
C 5.599648 -1.021671 -0.320344 -0.0877 0.0195 0.5022
```
Forces are in eV/Å.

Summary:
lowest unoccupied orbital energy: 0.654 eV
spin multiplicity: 1


A structure of composition C42H52N4O2P2PbSb2, computed with ωB97M-V/def2-TZVPD.
~~~

There was a bill passed that was called PayGo back in 2010. It was in connection with raising the debt limit back then. Since then, raising the debt limit has become an annual habit of Congress, lacking the courage to control spending and treat a limit like a limit. Hell, they lack the courage to even spend the same amount next year as was spent last year. The PayGo legislation said that any increased spending had to be coupled with an equal amount of cuts somewhere else. PERIOD. That proved to be another lie and hasn’t been followed since the day it was passed. How else can anyone explain a $17 Trillion debt, heading to over 20 in a few years.

The budget hoopla in Congress today proves the point. No leader of either party in either branch has what it takes to tackle the real economic problems this country faces. Medicare, Medicaid, and Social Security. And the House, under John Boehner, is supposed to control the purse of the government. He’s failing at his job. Spare me the incredulity and attacks on conservatives Mr. Speaker. You’re not the one to lecture anyone about credibility.

For 2014, we need new leaders.

Budget “Deal” Reached, But

What do you call a budget deal that spends $63 Billion of “settled law” called the sequester? I call it a Republican surrender. Never mind that since the sequester began, the Obama administration has claimed some economic recovery. And never mind that the sequester passed with bi-partisan support.

For un-sequestering $63 Billion dollars today and for the next eighteen months, the deal promises reductions totaling $85 Billion elsewhere. But that’s not for today or the next two years. That’s for the next ten years. Who in their right mind believes this will happen?

But that’s not even the most insane talking point the House and Senate Republican leadership is touting. They use buzz words like “specific deficit-reduction provisions” and “mandatory savings” and “non-tax revenue” that makes up this fictitious $85 Billion number. And “if you’re for deficit reduction, you’re for this agreement.” The snake oil they’re selling is that this agreement would cut the deficit by between $20 and $23 Billion, as if that actually means something. They call it “a step in the right direction.” It’s surrender. It’s means nothing more than trying to look relevant in standing up to Democrats for the sake of getting something done. It’s not going to stop demagoguery from Democrats. It’s not much more than moving the deck chairs around on the Titanic.

With a national debt of $17 Trillion, $23 Billion is like a mouse fart in a hurricane. There’s no serious attempt, not even the slightest attempt, to deal with the debt and deficit spending whatsoever. It’s like driving over the cliff at 60 miles per hour instead of 65.

Speaker Boehner is hoping to win something by playing defense with the Democrats. Mr. Speaker, you don’t win anything by playing defense. What Speaker Boehner is doing is effectively managing the decline of the Republican party. He’s doing it in two ways. By budget deals like this, which will rise its head again in time for the 2016 general election when he’ll once again cower to the demagoguery of the Left. And by attacking republicans in the House and throughout the country. Republicans who want to see real evidence of getting to a balanced budget, which necessarily means working toward not spending more than we take in, (to quote President Obama) PERIOD. I recall that that’s what they were elected and sent to Washington to do. And he can start by putting an end to the insane “baseline budgeting” scheme. If you and I can’t use baseline budgeting, what on earth makes any sane person think that the government should? They should be forced to justify every dollar of their budget before it is allocated.

This budget deal dodges a bullet. To win seats, Speaker Boehner needs to go on offense and shoot one of his own. He needs to carry a republican platform instead of a democrat-lite platform. He needs to talk about bold tax reform like the FairTax. Something that eliminates the current, punitive IRS tax code.  He needs to talk up health care reform like H.R.2300, the private-sector solution. And what better time to do that? And he needs to talk about how unleashing the economic engine of the country, achieving true energy independence, creating jobs, and putting people back to work again will turn this ship around. That’s what the American people want. And that’s something that, so far, only Republicans have a chance at delivering. Problem is, I’m not so sure Speaker Boehner has what it takes to get us there.

Drug Cartels Overrun Mexico’s Government, Economy

Mexico’s “war on drugs” isn’t working. The drug cartels not only are exporting more drugs, but are branching out to include minerals like oil and iron ore. What?

In 2008, Lazaro Cardenas handled only 1.5 percent of Mexico’s iron ore exports to China; by mid-2013, the seaport was shipping out nearly half.

Isn’t it time to re-think this whole war on drugs thing? Lifting the prohibition on marijuana, the single largest moneymaker for the cartels, would be the single biggest blow to the cartels than anything the corrupt Mexican government can do on its own. Mexico clearly has lost control of their government and economy. Decriminalizing marijuana would do a few desirable things. Make our own streets safer, relieve the burdens put on law enforcement, the court and correctional systems, and end the growing “spice” (artificial marijuana) industry.

Link: Mexican Drug Cartels Now Make Money Exporting Ore  |  Hit Mexico’s Cartels With Legalization

Obamacare “Success” Story

It’s a short story. This isn’t exactly what I call health care reform, or a success.

Turns out, I can keep my existing group health insurance plan with United Healthcare. That’s the good news. And that’s only because King President Obama waived the (settled law) employer mandate until after the 2014 election. The bad news is, my premium doubles, and my deductible goes from $3,000 to $12,000 a year. For all practical purposes, I’m self-insured. This is what spreading the wealth around looks like. And, it’s only the beginning. The other shoe drops when the employer mandate finally goes into effect and 150 million more policies get cancelled.

Misplaced records of molecules:
-- begin --
Entry 1:
Molecular formula: C40H52FN6O5Si2TeV
Method: DFT, ωB97M-V/def2-TZVPD

Each line ends with the Löwdin charge.
Atoms and positions in Å:
V -0.49 0.02 0.04  0.834
C -3.78 6.72 -1.52  -0.048
C -3.72 6.20 -0.09  -0.166
N -3.39 4.77 -0.05  -0.007
C -2.11 4.42 0.08  0.069
C -1.66 3.13 0.07  -0.009
C -0.19 2.90 0.30  -0.521
O 0.56 3.83 0.47  0.130
O 0.13 1.64 0.32  -0.126
C -2.55 2.06 -0.16  -0.227
O -2.19 0.83 -0.24  -0.187
C -3.94 2.43 -0.27  -0.034
C -4.93 1.46 -0.42  0.091
C -6.25 1.78 -0.49  -0.172
F -7.13 0.76 -0.60  0.074
C -6.70 3.12 -0.43  -0.114
C -5.71 4.09 -0.32  0.062
C -4.35 3.78 -0.21  -0.102
N -8.05 3.50 -0.54  -0.076
C -8.55 4.65 0.20  -0.121
C -9.52 5.43 -0.69  -0.066
N -10.22 4.46 -1.60  0.069
C -10.45 3.17 -0.89  -0.076
C -9.10 2.48 -0.69  -0.120
H -4.01 7.79 -1.52  0.089
H -4.54 6.20 -2.10  0.075
H -2.82 6.58 -2.02  0.089
H -4.66 6.37 0.43  0.115
H -2.95 6.72 0.46  0.132
H -1.39 5.21 0.23  0.163
H -4.65 0.42 -0.46  0.096
H -6.00 5.13 -0.34  0.098
H -7.74 5.31 0.51  0.121
H -9.05 4.33 1.12  0.142
H -9.00 6.16 -1.31  0.140
H -10.27 5.95 -0.09  0.144
H -9.62 4.27 -2.41  0.188
H -11.09 4.86 -1.95  0.192
H -11.12 2.54 -1.47  0.146
H -10.94 3.40 0.06  0.140
H -8.87 1.87 -1.56  0.134
H -9.17 1.82 0.18  0.143
C 1.02 -7.91 -5.23  -0.066
O 1.13 -6.56 -4.78  -0.073
C 2.19 -6.22 -4.04  -0.280
C 2.33 -4.85 -3.76  0.015
C 3.37 -4.40 -2.97  -0.016
C 4.31 -5.31 -2.46  -0.281
C 4.21 -6.65 -2.80  -0.010
C 3.15 -7.12 -3.57  -0.004
N 5.39 -4.97 -1.61  0.090
N 5.34 -4.02 -0.83  0.084
C 4.20 -3.28 -0.49  -0.238
C 4.25 -1.90 -0.54  -0.003
C 3.11 -1.14 -0.28  0.026
C 1.92 -1.74 0.04  -0.240
O 0.79 -0.99 0.15  -0.309
C 1.88 -3.14 0.28  -0.150
N 0.74 -3.67 0.77  0.044
C 0.69 -4.96 1.00  -0.116
C 1.78 -5.82 0.79  -0.018
C 2.95 -5.30 0.31  0.018
C 3.03 -3.92 0.03  -0.087
H 0.15 -7.94 -5.87  0.095
H 0.88 -8.60 -4.39  0.096
H 1.91 -8.20 -5.80  0.101
H 1.61 -4.17 -4.17  0.121
H 3.48 -3.34 -2.80  0.116
H 4.97 -7.33 -2.44  0.122
H 3.08 -8.17 -3.79  0.108
H 5.18 -1.43 -0.84  0.126
H 3.13 -0.06 -0.38  0.132
H -0.25 -5.34 1.38  0.115
H 1.70 -6.87 1.02  0.113
H 3.81 -5.94 0.16  0.122
C -2.58 -2.73 4.57  -0.175
Si -2.61 -1.70 2.99  0.456
C -4.38 -1.12 2.70  -0.174
C -1.49 -0.19 3.17  -0.160
C -1.98 -2.90 1.66  -0.527
Te -1.76 -2.30 -0.38  1.462
C -3.84 -1.98 -0.87  -0.528
Si -4.34 -3.43 -2.01  0.412
C -6.08 -3.13 -2.66  -0.185
C -3.14 -3.47 -3.46  -0.200
C -4.25 -5.02 -1.01  -0.167
H -3.00 -2.18 5.40  0.037
H -1.56 -3.03 4.84  0.040
H -3.16 -3.65 4.44  0.037
H -4.73 -0.63 3.61  0.039
H -5.05 -1.96 2.49  0.037
H -4.45 -0.40 1.89  0.003
H -1.37 0.07 4.23  0.046
H -1.91 0.68 2.67  0.021
H -0.48 -0.37 2.78  0.027
H -2.59 -3.81 1.67  0.010
H -0.96 -3.19 1.93  -0.014
H -3.91 -1.04 -1.42  -0.009
H -4.46 -1.93 0.03  0.005
H -6.14 -2.21 -3.25  0.027
H -6.80 -3.05 -1.84  0.028
H -6.39 -3.95 -3.30  0.036
H -2.94 -2.47 -3.84  0.033
H -3.54 -4.06 -4.29  0.037
H -2.18 -3.92 -3.18  0.012
H -5.24 -5.32 -0.66  0.035
H -3.62 -4.89 -0.13  -0.001
H -3.85 -5.85 -1.59  0.039
-- stop --
End of the records of molecules:

Still waiting for Obamacare to tell me what kind of coverage I can get. It’s been over two weeks now since they told me they would send policy coverages to me in the mail. Snail mail.

You’re welcome to share your success story via comment.

Obama Shifts Blame From Himself To Insurance Companies

In response to everyone’s dissatisfaction with Obama’s lying about ‘you can keep your plan and your doctor, period,’ and in the wake of over five million obama_on_aca-trustpolicies being cancelled, affecting three times that many people, Obama’s humbling and gratuitous speech on Thursday was pure political hokus pokus. And more FUD factor.

Constitutional authority aside (everyone knows he doesn’t respect that), King President Obama declared that he now wants insurance companies to let people get the plans that they like back, he didn’t say at the same price. He didn’t change the law. All he is doing is he’s choosing not to enforce the Affordable Care Act, aka “settled law,” for a year. See, it’s only settled law when he wants it to be settled law.

He did this on Thursday in an attempt to stifle the House from passing the H.R. 3350: Keep Your Health Plan Act of 2013. A bill that he promised to veto and ultimately passed the House Friday by 61% with bipartisan support. (R’s 222, D’s 39) That bill does change the law, and does allow insurance companies not only to offer policies that people may want, but it also allows new purchasers to buy plans that they want too, without all the ACA mandates.

Since Obama did not change the law, the policies are still illegal under the ACA. It’s unrealistic to expect that insurance companies will start selling illegal policies when they are given zero immunity from Obama should they end up in court in a dispute over an illegal policy. And since Obama’s idea is to postpone this enforcement for a year, there’s no reason to assume that the premiums will be the same as before the ACA went into effect either.

So what happens when the insurance companies don’t bow to the King and reinstate illegal policies? He can, and will, say how the insurance companies are just greedy, bla bla bla, and take the focus of blame off of himself and the ACA and shift it to “those evil insurance companies.”

Why does President Obama say he’ll veto the Keep Your Health Plan Act of 2013? The President says that Obamacare introduces competition which will bring down cost. The true part is that competition brings down cost. The lie part is that Obamacare is competition. By vetoing this bill, Obama is eliminating competition by preventing insurance companies to offer plans of their own that people want that are not burdened with government mandates, ie. “inferior policies.” And he can’t let the free market work if Obamacare is to succeed. To put it another way, unless the insurance industry is neutered or just goes out of business, he won’t be able to fundamentally change the country to a nationalized health care model.

Debt, America’s New Massa

The Daily Beast is just dumfounded at the suggestion that there is a new kind of slavery going on. It’s OK that The Beast doesn’t get the metaphor. Maybe it’s a little national-debt-per-capitatoo deep for them to understand.

It boils down to this. like slaves were owned, our future generations will be owned by the debt we are putting them in today. China, the debt, becomes the new Massa for generations to come.

The political left has gotten drunk with their “racist” ranting. That’s OK as long as everyone realizes that it just means they have no way to discuss the real problem, the debt, so they do what they do, re-direct the issue to anything else.

Link: The Right’s Slavery Obsession – The Daily Beast.

aSide Order

The experiment using monkeys is framed as them receiving unequal pay. It certainly, and quickly, brings out a primal behavior. If I were to characterize the behavior, I would see it from a different perspective. Like the motivation and energy that is inherent in seeing a goal and doing something to make that goal.

Let that lab person represent the government providing handouts. Given equally, there is no motivation or drive to do anything more or realize full potential. That is why I would measure compassion, not by how many people I can get on the welfare or food stamp rolls, but by how many people I can get off of them via people realizing their own potential and moving up that economic ladder. Instead of running from side to side.





Dinesh D’Souza & Michael Shermer in debate at Oregon State University. Questions from the student body about Universal Health Care / ObamaCare.


This quote is not from Ben Stein. That, according to Snopes according to Ben Stein. But, does it really matter who said it? Read it for what it says. Who wrote it is irrelevant. I’m guessing he, or she, wasn’t a Democrat.
